Unfair Taxation of Regulated Marijuana Must End
- The cannabis industry and cannabis consumers are unfairly taxed in general.
- Americans want cannabis made federally legal.
- The Senate has the chance to pass the SAFE Banking act.
- Doing so would allow cannabis businesses to claim their expenses on their taxes and permit banks to do business with them.
- Now some lawmakers are pushing a different bill that adds a 25 percent federal sales tax on top of already high state taxes, putting the SAFE banking act at risk.
There comes a point where people have to stand up and say, enough is enough. And when it comes to taxing cannabis users — both medical and adult recreational — enough, already! With marijuana taxes already far too high, some lawmakers in Washington want to pile on another 25 percent marijuana sales tax.
And here’s why this is a mind-boggling bad idea.
As young as it is, the cannabis industry is already one of the most highly regulated industries on earth on par with financial services, gambling, and healthcare. In some regions, sales tax is collected at the state, county, city, and even district levels.
The problem is that in many places legal marijuana dispensaries cannot compete with black market prices meaning more money goes to criminals and less money goes into government coffers.
On top of that, cannabis companies are unfairly taxed by the IRS, costing states and consumers even more money.
What’s the holdup, Washington?
Why is the federal government so slow on cannabis policy reform? Unbelievably, the current situation goes back nearly 100 years. And our cannabis laws are still far from sorted out.
Are you aware of the reason marijuana was made illegal a century or so ago? The fact is, it really had nothing to do with marijuana. Actually, the hemp industry posed a threat to the powerful lumber industry. And in an attempt to stomp it out, a blitzkrieg of propaganda was unleashed on the American public the likes of which had not been seen before.
The plan was to paint marijuana as a dangerous drug used by colored people, Mexican immigrants, and jazz musicians. In the now-classic (more like comic) movie, “Reefer Madness,” pot smokers were painted as psychotic rapists and murderers.
It was half a century before there was any serious pushback at all from cannabis advocates. But as soon as there was some pushback the federal government invented the War on Drugs.
It certainly has been a battle ever since.
Today, two-thirds of Americans agree that marijuana should not be federally regulated. Rather than owning up to the failures of federal policy, the majority of U.S. legislators — our so-called “representatives” — refuse to give up on the notion of marijuana as the “evil weed.” And in doing so, they have wasted billions upon billions of our tax dollars. Enough is enough.
One federal agency keeping the cannabis industry down and marijuana prices up
While marijuana is now legal in one form or another in more than two-thirds of U.S. states and counting, marijuana is still a Schedule I controlled substance on par with heroin and LSD at the federal level.
The Drug Enforcement Agency and U.S. Justice departments will hold that position until congress tells them otherwise. Thankfully, however, the DEA and DOJ have been softening their stance in states where marijuana is legal.
But there is one particular federal agency that still bedevils the cannabis industry and anyone who consumes cannabis — and in a big way. That’s the Internal Revenue Service.
The IRS figures, well, if we’re going to let the cannabis industry exist, then they’re going to have to pay taxes. On the other hand, since the business they engage in is federally illegal, cannabis operations are not permitted to write off any of the costs of doing business like a normal company.
This arbitrary decision is laid out in an IRS code Section 280E. And it wasn’t even invented for the cannabis industry. The IRS wanted to collect income taxes from a big cocaine trafficker in California who claimed he should then be able to write off his business expenses. Thus 280E was invented.
Today, state-legal cannabis businesses pay federal income taxes on every dime they take in, even if it goes right back out the door to keep the business running. To give you some sense of the magnitude of this problem, the profits of a typical business are generally under ten percent. The other 80 percent is the cost of doing business.
Then there’s the banking issue
The specter of federal government intervention also haunts the banks and credit unions. Because marijuana is still federally illegal, most banks will not do business with cannabis companies for fear of facing racketeering accusations brought by some overzealous fan of “Reefer Madness.”
In fact, banks and credit unions are required to inform federal authorities if they even suspect a customer might be engaged in any type of illegal activity or they could face severe penalties.
Although some regional banks are beginning to lighten up, still well over half of cannabis businesses have no bank accounts.
So, to add insult to injury, those dispensaries and growers that do not have bank accounts have to pay their taxes with massive mountains of cash. And they have to provide security for that cash. Which is another expense they can’t write off
But wait, there’s more!
The federal government is not the only devil tormenting the cannabis industry. In addition to imposing unreasonable regulation, many states also demand fealty in the form of collecting income taxes on marijuana sales.
In some U.S. states, combined state and local sales taxes reach into the 40 percent range. The amount of money now collected from marijuana sales far exceeds the taxes paid on cigarettes and alcohol — both of which cost Americans billions every year in damages.
Tax revenues from cannabis now total more than $2 billion annually. And those taxes are passed along to the public.
As a result, in many cases, the going rate for dispensary marijuana is higher than the street price for black market weed. So consumers have a choice. Pay the high price to be legal and to enjoy safe, organic, lab-tested products, or stick with whatever you can get on the street.
Many medical users have little choice but to remain criminals and to give their money to drug dealers because they can’t afford to buy overpriced, state-sanctioned marijuana.
The fewer marijuana consumers shopping at dispensaries, the less sales taxes can be collected. On top of that, the cost of chasing down illegal marijuana is costing taxpayers billions. Making legal marijuana cheaper would drastically reduce the cost of enforcing drug laws.
## Attached: records of crystals
'''
Entry 1:
Calculated powder diffractogram
Compound: Rb2OsPtI6
Radiation: Cu Kα (λ = 1.5418 Å)
Structure: a DFT-relaxed cell (PBE, Alexandria)
Lines closer than 0.1° are merged.

Cell and atoms:
```
data_Rb2OsPtI6
_cell_length_a 7.9617
_cell_length_b 7.9617
_cell_length_c 11.3299
_cell_angle_alpha 90.00
_cell_angle_beta 90.00
_cell_angle_gamma 90.00
_space_group_name_H-M_alt 'I 4/m m m'
_space_group_IT_number 139
_space_group_name_Hall '-I 4 2'
loop_
_atom_site_label
_atom_site_type_symbol
_atom_site_fract_x
_atom_site_fract_y
_atom_site_fract_z
_atom_site_occupancy
Rb1 Rb 0.0000 0.5000 0.2500 1
Os1 Os 0.0000 0.0000 0.0000 1
Pt1 Pt 0.0000 0.0000 0.5000 1
I1 I 0.0000 0.0000 0.2449 1
I2 I 0.2469 0.2469 0.0000 1
```

Peak list (8 most intense, 10° ≤ 2θ ≤ 80°, low angle first)
(1 1 0), 15.71°, rel. 100; (1 1 2), 22.29°, rel. 38; (2 0 2), 27.38°, rel. 53; (0 0 4), 31.59°, rel. 51; (2 2 0), 31.79°, rel. 100; (2 2 4), 45.43°, rel. 74; (4 0 0), 45.57°, rel. 37; (4 0 4), 56.51°, rel. 38

Entry 2:
Calculated powder diffractogram
Compound: Rb2TaOsI6
Radiation: Cu Kα (λ = 1.5418 Å)
Structure: a DFT-relaxed cell (PBE, Alexandria)
Lines closer than 0.1° are merged.

Cell and atoms:
```
data_Rb2TaOsI6
_cell_length_a 8.0392
_cell_length_b 8.0392
_cell_length_c 11.3143
_cell_angle_alpha 90.00
_cell_angle_beta 90.00
_cell_angle_gamma 90.00
_space_group_name_H-M_alt 'I 4/m m m'
_space_group_IT_number 139
_space_group_name_Hall '-I 4 2'
loop_
_atom_site_label
_atom_site_type_symbol
_atom_site_fract_x
_atom_site_fract_y
_atom_site_fract_z
_atom_site_occupancy
Rb1 Rb 0.0000 0.5000 0.2500 1
Ta1 Ta 0.0000 0.0000 0.0000 1
Os1 Os 0.0000 0.0000 0.5000 1
I1 I 0.0000 0.0000 0.2546 1
I2 I 0.2460 0.2460 0.5000 1
```

Peak list (8 most intense, 10° ≤ 2θ ≤ 80°, low angle first)
(1 1 0), 15.61°, rel. 95; (2 0 0), 22.15°, rel. 35; (2 0 2), 27.22°, rel. 56; (2 2 0), 31.48°, rel. 100; (0 0 4), 31.63°, rel. 49; (4 0 0), 45.11°, rel. 37; (2 2 4), 45.23°, rel. 73; (4 0 4), 56.14°, rel. 38

Entry 3:
Calculated powder diffractogram
Compound: Sb2OsRuI
Radiation: Cu Kα (λ = 1.5418 Å)
Structure: a DFT-relaxed cell (PBE, Alexandria)
Lines closer than 0.1° are merged.

Cell and atoms:
```
data_Sb2OsRuI
_cell_length_a 5.0430
_cell_length_b 5.0430
_cell_length_c 5.5919
_cell_angle_alpha 90.00
_cell_angle_beta 90.00
_cell_angle_gamma 90.00
_space_group_name_H-M_alt 'P 4/m m m'
_space_group_IT_number 123
_space_group_name_Hall '-P 4 2'
loop_
_atom_site_label
_atom_site_type_symbol
_atom_site_fract_x
_atom_site_fract_y
_atom_site_fract_z
_atom_site_occupancy
Sb1 Sb 0.0000 0.5000 0.0000 1
Os1 Os 0.0000 0.0000 0.0000 1
Ru1 Ru 0.5000 0.5000 0.5000 1
I1 I 0.0000 0.0000 0.5000 1
```

Peak list (8 most intense, 10° ≤ 2θ ≤ 80°, low angle first)
(1 0 0), 17.59°, rel. 57; (1 0 1), 23.76°, rel. 35; (1 1 1), 29.71°, rel. 62; (0 0 2), 32.01°, rel. 67; (2 0 0), 35.61°, rel. 100; (2 0 2), 48.62°, rel. 82; (2 2 0), 51.24°, rel. 35; (2 2 2), 61.70°, rel. 40

Entry 4:
Calculated powder diffractogram
'''
## Back to the text
Here’s the kicker...
Now, some lawmakers in Washington are backing a proposal to add another 25 percent sales tax on top of that! We can’t let this happen.
Sadly, before this new nonsense, the SAFE Banking Act would have fixed the banking and tax situation. It had the 60-plus votes it needed to pass the Senate. And it has already passed the house three times. Instead of working to push the bill across the finish line, some lawmakers are piling on other pork fat issues that can be tackled in a future bill.
'''
This entry pairs a crystal structure of NaAlGe with its calculated powder X-ray diffraction pattern. Radiation: a wavelength of 1.5418 Å. Structure: a crystal structure in the Materials Project, relaxed with GGA-PBE.

Largest 12 diffraction maxima, in order of rising 2θ, 10° ≤ 2θ ≤ 80°:
d/Å	I/Imax
7.470	40
3.640	100
2.947	51
2.782	53
2.314	97
2.138	40
2.084	57
1.809	28
1.668	21
1.493	31
1.319	21
1.243	25

Structural model:
Cell lengths 4.168, 4.168, 7.470 Å; angles 90.00, 90.00, 90.00 degrees
Positions (direct):
1 Na 0.250 0.250 0.139
2 Na 0.750 0.750 0.861
3 Al 0.250 0.750 0.500
4 Al 0.750 0.250 0.500
5 Ge 0.250 0.250 0.715
6 Ge 0.750 0.750 0.285


This entry pairs a crystal structure of Na2Al2Ge3O12 with its calculated powder X-ray diffraction pattern. Radiation: a wavelength of 1.5418 Å. Structure: a crystal structure in the Materials Project, relaxed with GGA-PBE.

Largest 12 diffraction maxima, in order of rising 2θ, 10° ≤ 2θ ≤ 80°:
d/Å	I/Imax
6.638	74
6.198	51
4.688	41
4.531	92
4.195	25
3.283	35
3.262	58
3.099	26
2.926	100
2.691	24
2.482	36
2.264	24

Structural model:
Cell lengths 10.032, 10.007, 13.275 Å; angles 48.60, 48.43, 82.97 degrees
Positions (direct):
1 Na 0.249 0.751 0.311
2 Na 0.561 0.939 0.499
3 Na 0.751 0.249 0.689
4 Na 0.939 0.561 0.001
5 Al 0.368 0.631 0.564
6 Al 0.631 0.368 0.438
7 Al 0.686 0.812 0.882
8 Al 0.812 0.686 0.619
9 Ge 0.123 0.123 0.877
10 Ge 0.127 0.862 0.569
11 Ge 0.373 0.373 0.127
12 Ge 0.681 0.808 0.123
13 Ge 0.808 0.681 0.388
14 Ge 0.862 0.127 0.442
15 O 0.044 0.764 0.536
16 O 0.051 0.920 0.106
17 O 0.122 0.395 0.485
18 O 0.144 0.327 0.199
19 O 0.170 0.351 0.802
20 O 0.251 0.752 0.624
21 O 0.253 0.765 0.855
22 O 0.327 0.144 0.330
23 O 0.351 0.170 0.677
24 O 0.395 0.122 0.997
25 O 0.448 0.573 0.080
26 O 0.455 0.735 0.346
27 O 0.573 0.448 0.899
28 O 0.595 0.714 0.486
29 O 0.626 0.877 0.999
30 O 0.714 0.595 0.206
31 O 0.735 0.455 0.465
32 O 0.752 0.251 0.373
33 O 0.764 0.044 0.655
34 O 0.765 0.253 0.128
35 O 0.785 0.904 0.515
36 O 0.877 0.626 0.498
37 O 0.904 0.785 0.795
38 O 0.920 0.051 0.923


This entry pairs a crystal structure of Na4Al3Ge3O13 with its calculated powder X-ray diffraction pattern. Radiation: a wavelength of 1.5418 Å. Structure: a crystal structure in the Materials Project, relaxed with GGA-PBE.

Largest 12 diffraction maxima, in order of rising 2θ, 10° ≤ 2θ ≤ 80°:
d/Å	I/Imax
6.438	100
4.080	23
4.061	22
3.734	29
3.710	74
2.884	15
2.874	20
2.643	16
2.623	39
2.431	17
1.614	14
1.604	17

Structural model:
Cell lengths 9.103, 9.103, 9.103 Å; angles 89.66, 89.66, 89.66 degrees
Positions (direct):
1 Na 0.000 0.000 0.000
2 Na 0.031 0.348 0.348
3 Na 0.348 0.031 0.348
4 Na 0.348 0.348 0.031
5 Na 0.500 0.500 0.500
6 Na 0.531 0.848 0.848
7 Na 0.848 0.531 0.848
8 Na 0.848 0.848 0.531
9 Al 0.181 0.433 0.685
10 Al 0.185 0.933 0.681
11 Al 0.433 0.685 0.181
12 Al 0.681 0.185 0.933
13 Al 0.685 0.181 0.433
14 Al 0.933 0.681 0.185
15 Ge 0.181 0.685 0.433
16 Ge 0.185 0.681 0.933
17 Ge 0.433 0.181 0.685
'''
• Here the piece continues:
The Cannabis Administration and Opportunity Act being pushed ahead of the SAFE Banking Act in the Senate calls for a brain-numbing 25 percent national sales tax on all marijuana sales. If passed, it would make legal marijuana more expensive than black market marijuana pretty much nationwide and by a big margin.
One problem facing lawmakers is that passing the SAFE Banking Act would drastically cut the tax revenue being sucked out of the cannabis industry by the IRS by allowing cannabis companies to write off their businesses expenses.
On the other hand, what they’re not getting is that legalizing marijuana would not only be the right thing to do for we the people, it would also save the federal government billions in law enforcement costs. If the bill fails, the federal government gets to keep raking in tax revenue but continues to spend billions of dollars on upholding prohibition.
== Data records from another source follow ==
No. 1
Starting from DFT lattice parameters and positions (GGA-PBE), the X-ray diffraction stick pattern of Na2Tl9Cd was computed for Cu Kα (weighted mean of Kα1 and Kα2).
Intensities are scaled so that the largest is 100.

Structure:
a b c (Å): 4.895 4.895 14.506
angles (deg): 90.00 90.00 90.00
Space group P4/mmm (No. 123)
One atom of each set of equivalent atoms:
Na  0.000  0.000  0.166 x2
Tl  0.000  0.500  0.000 x2
Tl  0.000  0.500  0.336 x4
Tl  0.500  0.500  0.163 x2
Tl  0.500  0.500  0.500 x1
Cd  0.000  0.000  0.500 x1

Top 12 peaks for 10 to 90 degrees two-theta, low angle first:
18.12 deg, intensity 9, (1 0 0); 25.90 deg, intensity 8, (1 0 3); 31.80 deg, intensity 100, (1 1 3); 36.72 deg, intensity 34, (2 0 0); 37.19 deg, intensity 17, (0 0 6); 52.91 deg, intensity 12, (2 2 0); 53.26 deg, intensity 24, (2 0 6); 63.06 deg, intensity 29, (3 1 3); 63.69 deg, intensity 14, (1 1 9); 66.44 deg, intensity 12, (2 2 6); 86.79 deg, intensity 6, (3 3 3); 87.35 deg, intensity 12, (3 1 9)


No. 2
Starting from DFT lattice parameters and positions (GGA-PBE), the X-ray diffraction stick pattern of NaPaPdO4 was computed for Cu Kα (weighted mean of Kα1 and Kα2).
Intensities are scaled so that the largest is 100.

Structure:
a b c (Å): 6.067 6.858 10.667
angles (deg): 90.00 90.00 90.00
Space group Imma (No. 74)
One atom of each set of equivalent atoms:
Na  0.000  0.250  0.174 x4
Pa  0.000  0.000  0.500 x4
Pd  0.250  0.250  0.750 x4
O  0.000  0.053  0.709 x8
O  0.213  0.250  0.465 x8

Top 12 peaks for 10 to 90 degrees two-theta, low angle first:
15.36 deg, intensity 20, (0 1 1); 16.81 deg, intensity 100, (1 0 1); 29.11 deg, intensity 27, (1 0 3); 31.00 deg, intensity 37, (0 2 2); 31.11 deg, intensity 48, (1 2 1); 33.61 deg, intensity 23, (0 0 4); 34.00 deg, intensity 24, (2 0 2); 39.41 deg, intensity 15, (1 2 3); 39.67 deg, intensity 30, (2 2 0); 52.74 deg, intensity 14, (1 2 5); 52.94 deg, intensity 27, (2 2 4); 53.28 deg, intensity 13, (3 2 1)


No. 3
Starting from DFT lattice parameters and positions (GGA-PBE), the X-ray diffraction stick pattern of Pr5Bi4I was computed for Cu Kα (weighted mean of Kα1 and Kα2).
Intensities are scaled so that the largest is 100.

Structure:
a b c (Å): 4.653 6.545 23.145
angles (deg): 90.00 90.00 90.00
Space group Immm (No. 71)
One atom of each set of equivalent atoms:
Pr  0.000  0.000  0.000 x2
Pr  0.000  0.000  0.199 x4
Pr  0.000  0.000  0.392 x4
Bi  0.000  0.500  0.201 x4
Bi  0.000  0.500  0.401 x4
I  0.000  0.500  0.000 x2

Top 12 peaks for 10 to 90 degrees two-theta, low angle first:
27.20 deg, intensity 100, (0 2 0); 38.70 deg, intensity 13, (2 0 0); 38.87 deg, intensity 65, (1 2 5); 47.98 deg, intensity 15, (2 2 0); 48.15 deg, intensity 14, (0 2 10); 56.04 deg, intensity 9, (2 0 10); 63.41 deg, intensity 12, (2 2 10); 63.53 deg, intensity 18, (1 4 5); 70.15 deg, intensity 9, (3 2 5); 70.40 deg, intensity 13, (2 4 0); 89.62 deg, intensity 8, (3 4 5); 89.91 deg, intensity 8, (0 6 0)


No. 4
If a 25 percent tax is passed, then a $50 ⅛ ounce of marijuana would cost $62.50 — plus up to 47% state tax bringing the total up to as high as $82.50 for 3.5 grams bringing the total up to $23.50 per gram. That’s more than twice the black market price!
Does this make sense to anyone — outside of Washington, or California?
Organizations such as the Marijuana Policy Project and cannabis industry trade groups are working to lobby some sense into the few senators that are holding things up. We all need to make our voices heard. Contact your U.S. senators — send them a quick email — let them know you want the SAFE Banking Act passed this year, and before they tackle more complex issues related to cannabis.